Yes, it's kidnapping!

Aelorin's eyes fluttered open, fighting off the haze of lingering drowsiness and a throbbing headache. It took him a moment to shake off the disorientation, his surroundings slowly coming into focus. "Damn," he muttered under his breath, voice barely above a whisper. "I can't remember the last time I slept that well." He sat up, rubbing his wrists and scanning the darkness around him.

He was sitting on a wooden platform that rocked with every lurch and creak of movement beneath it. The muted whirring sound told him he was likely in some kind of carriage, rattling along a rough road. His keen eyes adjusted, picking out the rough grain of the wooden walls surrounding him, sealing him inside like a caged animal.

Wood. That would normally be no problem—if it weren't for the shackles digging into his wrists, humming faintly with a familiar energy. "Magic-sealing cuffs," he murmured, his voice heavy with realization. He gave them a tug, testing their hold. Not just amateurs, then. Whoever had taken him knew what they were doing, and he had greatly underestimated them.

The stakes were high; if he couldn't break free, he doubted he'd make it out alive. His throat went dry at the thought.

But before he could make a move, a voice drifted out from the darkness, calm and chillingly detached. "Hello."

Aelorin tensed, his senses snapping to high alert. He hadn't realized he wasn't alone. Squinting, he could barely make out the silhouettes of two others across from him, both bound by similar shackles. It appeared he wasn't the only target of these kidnappers.

"Hi," he finally replied, cautious. "Were you... also kidnapped?"

The shadowed figure closest to him shifted, and a low growl reached his ears. "Would we be here if we weren't, shovel ears?"

Aelorin felt a sharp surge of irritation. Who was this insolent prick talking to? He took a slow, deep breath, willing himself not to snap. The man's tone and demeanor reminded him too quickly of a certain… species. Humans. He narrowed his eyes, the familiar disdain rising within him.

== Next to the text, the page also holds records of crystals ==
+++
The following is a DFT calculation (PBE) of an optimized crystal structure of Cs2ZnI4.

abc: 11.107 8.566 14.876
angles: 90.00 90.00 90.00
Atoms (fractional coordinates):
1 Cs 0.024 0.250 0.168
2 Cs 0.132 0.750 0.396
3 Cs 0.368 0.250 0.896
4 Cs 0.476 0.750 0.668
5 Cs 0.524 0.250 0.332
6 Cs 0.632 0.750 0.104
7 Cs 0.868 0.250 0.604
8 Cs 0.976 0.750 0.832
9 Zn 0.236 0.750 0.077
10 Zn 0.264 0.250 0.577
11 Zn 0.736 0.750 0.423
12 Zn 0.764 0.250 0.923
13 I 0.001 0.250 0.902
14 I 0.174 0.503 0.654
15 I 0.174 0.997 0.654
16 I 0.189 0.250 0.409
17 I 0.311 0.750 0.909
18 I 0.326 0.003 0.154
19 I 0.326 0.497 0.154
20 I 0.499 0.750 0.402
21 I 0.501 0.250 0.598
22 I 0.674 0.503 0.846
23 I 0.674 0.997 0.846
24 I 0.689 0.250 0.091
25 I 0.811 0.750 0.591
26 I 0.826 0.003 0.346
27 I 0.826 0.497 0.346
28 I 0.999 0.750 0.098

Results
The formation energy comes out at -1.40 eV/atom.



The following is a DFT calculation (PBE) of an optimized crystal structure of ErAs.

abc: 3.547 3.547 3.547
angles: 90.00 90.00 90.00
Atoms (fractional coordinates):
1 Er 0.000 0.000 0.000
2 As 0.500 0.500 0.500

Results
The formation energy comes out at -1.02 eV/atom. The value obtained for the total magnetization is 0.001 μB per atom.



The following is a DFT calculation (PBE) of an optimized crystal structure of BaSiC.

abc: 8.310 6.177 11.088
angles: 90.00 90.00 90.00
Atoms (fractional coordinates):
1 Ba 0.020 0.250 0.200
2 Ba 0.160 0.750 0.390
3 Ba 0.340 0.250 0.890
4 Ba 0.480 0.750 0.700
5 Ba 0.520 0.250 0.300
6 Ba 0.660 0.750 0.110
7 Ba 0.840 0.250 0.610
8 Ba 0.980 0.750 0.800
9 Si 0.079 0.750 0.098
10 Si 0.188 0.250 0.486
11 Si 0.312 0.750 0.986
12 Si 0.421 0.250 0.598
13 Si 0.579 0.750 0.402
14 Si 0.688 0.250 0.014
15 Si 0.812 0.750 0.514
16 Si 0.921 0.250 0.902
17 C 0.208 0.128 0.652
18 C 0.208 0.372 0.652
19 C 0.292 0.628 0.152
20 C 0.292 0.872 0.152
21 C 0.708 0.128 0.848
22 C 0.708 0.372 0.848
23 C 0.792 0.628 0.348
24 C 0.792 0.872 0.348

Results
Its distance to the lowest polymorph of the same formula is 0.012 eV per atom. The formation energy comes out at 0.19 eV/atom. The value obtained for the total magnetization is 0.000 μB per atom.



The following is a DFT calculation (PBE) of an optimized crystal structure of Ba6MgSc2C2O6F14.

abc: 9.102 6.292 9.125
angles: 90.00 98.36 90.00
Atoms (fractional coordinates):
1 Ba 0.000 0.000 0.000
2 Ba 0.045 0.000 0.463
3 Ba 0.233 0.500 0.255
4 Ba 0.301 0.500 0.739
5 Ba 0.531 0.000 0.509
6 Ba 0.738 0.500 0.187
7 Mg 0.999 0.500 0.911
8 Sc 0.422 0.000 0.074
9 Sc 0.859 0.500 0.595
10 C 0.622 0.000 0.885
11 C 0.646 0.500 0.788
12 O 0.479 0.000 0.836
13 O 0.577 0.500 0.900
14 O 0.583 0.500 0.651
15 O 0.658 0.000 0.031
16 O 0.720 0.000 0.798
17 O 0.792 0.500 0.807
18 F 0.013 0.283 0.725
19 F 0.013 0.717 0.725
20 F 0.028 0.500 0.477
21 F 0.251 0.000 0.216
22 F 0.284 0.234 0.980
23 F 0.284 0.766 0.980
24 F 0.293 0.242 0.508
25 F 0.293 0.758 0.508
26 F 0.502 0.236 0.233
27 F 0.502 0.764 0.233
28 F 0.772 0.256 0.469
29 F 0.772 0.744 0.469
+++
== Back to the text ==

'Ah, that explains the attitude,' Aelorin thought, resisting the urge to roll his eyes. 'Humans—always so ignorant and self-assured. I'll overlook it… for now.'

"Sorry," Aelorin replied with barely restrained sarcasm. "I was just wondering why they'd waste time snatching up someone like you. Though I guess the girl's here too, so…" He nodded toward the second figure, letting his words trail off. Even in the dim light, he could tell she was different.

Her voice was soft but firm. "Half-giant. And do you have any idea why we were taken?" Her tone betrayed a hint of hope, but Aelorin saw right through it.

He looked away, grimacing. "No idea. Maybe they're trafficking rare races for some gold." It was a lie, and he knew it. His instincts told him this was bigger. His royal heritage, his lineage—if they were after him specifically, it wasn't some petty gold trade. But he had no intention of sharing that detail.

The human sneered, crossing his arms as best as the shackles allowed. "Of course, the elf doesn't know. Probably too wrapped up in his own world to notice what's happening."

Aelorin clenched his fists, ignoring the taunt. Humans and their perpetual envy of the higher races—he could almost predict every word out of this one's mouth. Instead, he let the silence settle between them, each person left to their own anxious thoughts, contemplating their lives and what they had or hadn't achieved.

However, Aelorin was far from idle. His gaze flicked back to his shackles, mind whirring. He could feel his magic, dulled but present, like a heartbeat just out of reach. And if his old training taught him anything, it was that he didn't always need magic to bend the world to his will.

With a grin, he focused, invoking the ancient skill he'd honed in secret.

**{Cell Domination has been activated.}**

=====
Ce3Al | r2SCAN | optimized geometry

POSCAR file:
```
Ce3Al
1.0
-3.631 -4.499 3.510
0.575 -0.616 -6.711
4.358 -3.010 0.650
Al Ce
2 6
direct
0.667 0.333 0.750
0.333 0.667 0.250
0.819 0.181 0.250
0.819 0.639 0.250
0.361 0.181 0.250
0.181 0.819 0.750
0.181 0.361 0.750
=====

Aelorin smirked. He'd paid dearly to learn that skill, but it seemed worth it now.

**{Warning: Object is highly resistant to domination.}**

**{One minute until domination is complete. Note: This will weaken you.}**

'Ha! As if a little drain would stop me,' he thought, relishing the challenge. Outwardly, he let out a soft chuckle, almost giddy with anticipation. The sound echoed in the cramped space, drawing the wary eyes of his companions.

"He's gone mad!" the human muttered, shifting away as if Aelorin had suddenly sprouted horns.

The half-giant girl, however, merely stared, expression neutral but observant.

Seconds stretched on. Aelorin held his focus, feeling the shackles begin to resonate, the metal faintly vibrating against his skin. Small sparks of dark energy flickered along the cuffs, nearly hidden by the jerking motion of the carriage. He kept his gaze steady, making sure not to alert the kidnappers outside.

Finally, he felt the cuffs submit.

**{You have dominated the magic dampening shackles. You now have command over them.}**

With a slow exhale, Aelorin braced himself, shifting his position. He tried standing, but the chains pulled tight, locking him to the floor. That human's voice rose again, full of mockery.

"Idiot, what are you doing? You can't just break chains without magic! Aren't elves supposed to be smart? Or did you lose your last few brain cells in the—"

"Break." The word left Aelorin's lips, calm and absolute.

In a heartbeat, the shackles shattered into fragments, clinking softly as they scattered across the wooden floor. He stood, unbound and free, stretching with a nonchalant smirk as he looked down at the human's astonished face.

"Impossible," the boy breathed, his expression a mix of shock and raw envy. Aelorin savored the look, the disbelief in those wide eyes. He'd watch a little longer if he had time, but he didn't.

"Shut up; you're making a ruckus," he hissed, moving closer to the others. He scanned for traps, subtle spells, anything the kidnappers might have left to alert them if a prisoner tried to break free. Finding nothing, he relaxed slightly. 'They must be overconfident,' he thought. 'Fools.'

"What are you going to do when we're out?" the half-giant girl asked, her voice level but sharp. She watched him with a calculating gaze, clearly measuring his intentions.

Aelorin smiled, cold and calculating. "We're going to kill them, of course," he said matter-of-factly. "But I'll need you both. Don't get stupid on me."

The human scoffed, muttering something under his breath. "Figures an elf would want to turn this into a bloodbath."

Aelorin's gaze snapped to him, cold and piercing. "If you think they'll spare us out of some misplaced mercy, you're welcome to wait here like a good little prisoner." He gestured dismissively at the door. "But I don't intend to be a victim today. Or any day."

The man's face hardened, but he didn't argue. The half-giant nodded slowly, her eyes flicking between them both before resting on Aelorin. "Fine. If we're doing this, we're doing it together. But I swear, if you turn on us, elf…"

### Between two parts of the entry: materials data
____________
{
  "formula": "Li2Sn2Au",
  "functional": "GGA-PBE",
  "state": "optimized geometry",
  "vol_a3_per_cell": 213.8,
  "formation_enthalpy_0k_ev_per_atom": -0.444,
  "lattice": [[-2.3174, 2.3174, 9.9502], [2.3174, -2.3174, 9.9502], [2.3174, 2.3174, -9.9502]],
  "species": ["Li", "Li", "Li", "Li", "Sn", "Sn", "Sn", "Sn", "Au", "Au"],
  "frac_coords": [[0.0506, 0.3006, 0.7500], [0.3006, 0.0506, 0.2500], [0.6994, 0.9494, 0.7500], [0.9494, 0.6994, 0.2500], [0.2022, 0.4522, 0.7500], [0.4522, 0.2022, 0.2500], [0.5478, 0.7978, 0.7500], [0.7978, 0.5478, 0.2500], [0.1250, 0.8750, 0.2500], [0.8750, 0.1250, 0.7500]]
}

----------

Entry from the Materials Project: an optimized crystal structure of Zr2O (r2SCAN).

Geometry as POSCAR:
```
Zr2O
1.0
-5.191 1.963 1.061
1.372 -1.686 -5.215
-3.188 -9.666 2.287
Zr O
12 6
Cartesian
-2.090 -2.286 -0.862
-0.360 -1.040 -4.859
0.113 -3.487 -2.868
-4.116 -4.690 -1.582
-3.660 -7.150 0.329
-1.141 -5.447 -0.635
-2.012 -5.884 -3.696
0.453 -0.570 -1.735
-2.549 0.176 -2.770
-1.475 -8.366 -1.765
-2.826 -2.774 -3.951
-4.479 -7.618 -2.793
-2.832 -6.584 -1.677
-4.199 -2.878 -0.174
-1.191 -1.606 -2.855
-2.012 -4.094 -2.265
-5.793 -7.711 0.970
-6.609 -8.181 -2.153
```

Values from the calculation:
Volume in Å³/atom: 16.02
Space-group type: P312
Energy relative to the elements in meV per atom: -1982
Size of the total moment in μB per formula unit: 0.00
Crystal system: trigonal

----------
____________

Aelorin held up a hand, the smirk returning. "Trust me, darling, I don't plan to die here. You keep your end of the deal, and we'll all get out of this."

"Let's give them a warm surprise, shall we?"